Mid-term Conference RN 20: Program of the online-workshop
Overview of the program
Round table discussion with keynote speakers
A round table discussion will take place on Wednesday, July 22, 2020 from 6 to 7:30 pm (UCT/GMT + 2hours). The keynote speakers (see below) and other participants will discuss the topic of „Seeing and the Other Senses“. If you want to participate, please register under ESAKassel2020[at]uni-kassel[dot]de.
Prof. Dr. Alia Al-Saji, McGill Univ., Canada
Touching the Wounds of Colonial Duration: Fanon and a critical phenomenology of racialized affect
Surrounding Frantz Fanon's work is a persistent (and at times reductive) debate on method. Was Fanon a phenomenologist? Or was his method psychoanalytic, and thus suspicious of the appearances with which phenomenology stuck? Does Fanon owe more to Sartre or to Merleau-Ponty? Is the afropessimist reading of Fanon reconcilable with the decolonial one, or are there different Fanons at stake (between Martinique, France, Algeria, Tunisia, Ghana)? What is often forgotten is that the originality of Fanon's philosophy comes from the multiplicity of approaches he was able to simultaneously weave together. More so, in attempts to read Fanon through Sartre or Merleau-Ponty, or through Lacan, his contemporaneity with these thinkers is elided. While we know that Fanon attended Merleau-Ponty's lectures in Lyon in the late 1940s, no one worries to ask how Merleau-Ponty could lecture in and about Madagascar in the late 1950s without referencing Fanon. In other words, it might be time to read phenomenology through Fanon, rather than centering analysis on Fanon's assumed debt to Merleau-Ponty's body schema.
In this essay, I focus on the question of phenomenological method (without assuming this to be the defining method of Fanon's work). My argument is not one from continuity. Rather, I want to show how Fanonian phenomenology is one of rupture with, and ungrounding of, the phenomenological tradition—how Fanon creates his own phenomenological method through a phenomenology of affect and touch that breaks with the perceptual spectacle at the centre of most phenomenologies before him. This is to say that Fanon's phenomenology is not mere description, that he invents a critical, distinctly temporal, method from the affective territory in which he has had to dwell.
Prof. em. Dr. Wolfram Fischer, Univ. of Kassel, Germany
Sensual construction of body and biography
In this lecture/paper I shall firstly try to outline some properties of the embodiment of senses. The concept of the living, animate body (in German Leib) - in contrast to other objects -, and it’s functions will be sketched, especially: the constituting of the self, enabling the interaction with others, and in general creating his or her world.
# What comes next are records of crystals, not part of the article
1.
Below is crystalline Co2IrCl at its relaxed geometry, with properties calculated at the GGA-PBE level.

Lattice parameters (Å, degrees): 2.804 4.436 8.511 90.00 90.00 90.00
Fractional positions:
Co: 0.000 0.000 0.234
Co: 0.000 0.000 0.766
Co: 0.500 0.500 0.266
Co: 0.500 0.500 0.734
Ir: 0.000 0.500 0.000
Ir: 0.500 0.000 0.500
Cl: 0.000 0.500 0.500
Cl: 0.500 0.000 0.000

Properties
Its space-group type is Immm. The value obtained for the formation energy from raw total energies is 0.732 eV/atom.

2.
Below is crystalline Tm2TiGa at its relaxed geometry, with properties calculated at the GGA-PBE level.

Lattice parameters (Å, degrees): 4.567 4.567 4.291 90.00 90.00 90.00
Fractional positions:
Tm: 0.000 0.500 0.000
Tm: 0.500 0.000 0.000
Ti: 0.000 0.000 0.500
Ga: 0.500 0.500 0.500

Properties
The value obtained for the total energy is -20.48 eV for the cell shown. Its space-group type is P4/mmm.

3.
Below is crystalline HgRh2 at its relaxed geometry, with properties calculated at the GGA-PBE level.

Lattice parameters (Å, degrees): 6.312 6.312 6.312 90.00 90.00 90.00
Fractional positions:
Hg: 0.000 0.000 0.000
Hg: 0.000 0.500 0.500
Hg: 0.500 0.000 0.500
Hg: 0.500 0.500 0.000
Rh: 0.110 0.610 0.890
Rh: 0.110 0.890 0.390
Rh: 0.390 0.110 0.890
Rh: 0.390 0.390 0.390
Rh: 0.610 0.610 0.610
Rh: 0.610 0.890 0.110
Rh: 0.890 0.110 0.610
Rh: 0.890 0.390 0.110

Properties
The value obtained for the total energy is -47.78 eV for the cell shown. Its space-group type is Pa-3.

4.
Below is crystalline Li2YTcHg at its relaxed geometry, with properties calculated at the GGA-PBE level.

Lattice parameters (Å, degrees): 4.524 4.524 5.323 90.00 90.00 90.00
Fractional positions:
Li: 0.000 0.500 0.000
Li: 0.500 0.000 0.000
Y: 0.000 0.000 0.500
Tc: 0.500 0.500 0.500
Hg: 0.500 0.500 0.000

Properties
The value obtained for the total energy is -18.71 eV for the cell shown. Its space-group type is P4/mmm.

5.
Below is crystalline Na3RuO4 at its relaxed geometry, with properties calculated at the GGA-PBE level.

Lattice parameters (Å, degrees): 7.730 6.452 4.903 90.00 90.00 90.00
Fractional positions:
Na: 0.000 0.161 0.000
Na: 0.241 0.327 0.501
Na: 0.259 0.673 0.001
Na: 0.500 0.839 0.500
Na: 0.741 0.673 0.001
Na: 0.759 0.327 0.501
Ru: 0.000 0.825 0.464
Ru: 0.500 0.175 0.964
O: 0.000 0.111 0.512
O: 0.000 0.817 0.077
O: 0.208 0.689 0.518
O: 0.292 0.311 0.018
O: 0.500 0.183 0.577
O: 0.500 0.889 0.012
O: 0.708 0.311 0.018
O: 0.792 0.689 0.518

Properties
Its space-group type is Pmn2_1. The value obtained for the formation energy from raw total energies is -1.270 eV/atom.

6.
Below is crystalline Te2Pd9Au at its relaxed geometry, with properties calculated at the GGA-PBE level.

Lattice parameters (Å, degrees): 4.084 4.084 12.024 90.00 90.00 90.00
Fractional positions:
Te: 0.000 0.000 0.181
Te: 0.000 0.000 0.819
Pd: 0.000 0.500 0.000
Pd: 0.000 0.500 0.335
Pd: 0.000 0.500 0.665
Pd: 0.500 0.000 0.000
Pd: 0.500 0.000 0.335
Pd: 0.500 0.000 0.665
Pd: 0.500 0.500 0.161
# The records of crystals stop here
Secondly I try to bridge „body" to „biography" by especially taking into account the temporality of acting, experiencing, remembering, and the person’s being in the world.
Finally I shall consider consequences of this for empirical research, arguing a) for multimodal analysis and reconstruction of interaction and b) focusing in hermeneutical studies of personal accounts on bodily features and topics.
Prof. Dr. Vaike Fors, Univ. of Halmstad, Sweden
The text is interrupted by crystal structures:
=====
Entry 1:
## Ba2AlSe (GGA-PBE)

Data for an optimized crystal structure of Ba2AlSe.

abc: 7.6661 7.6661 7.6661
angles: 109.68 109.68 109.05
Closest atoms and distances in Å follow each position.
Fractional positions:
Ba: 0.0945 0.1250 0.4695  2 Se 3.14, 2 Al 3.50
Ba: 0.3750 0.9055 0.0305  2 Se 3.14, 2 Al 3.50
Ba: 0.6555 0.6250 0.5305  2 Se 3.14, 2 Al 3.50
Ba: 0.8750 0.3445 0.9695  2 Se 3.14, 2 Al 3.50
Al: 0.2500 0.7500 0.5000  4 Ba 3.50
Al: 0.5000 0.5000 0.0000  4 Ba 3.50
Se: 0.0000 0.0000 0.0000  4 Ba 3.14
Se: 0.7500 0.2500 0.5000  4 Ba 3.14

Space group: I-42d
ΔE to the lowest computed polymorph in eV/atom: 0.214

---

Entry 2:
## BaAlSe (GGA-PBE)

Data for an optimized crystal structure of BaAlSe.

abc: 6.4687 6.4687 6.4687
angles: 138.05 138.05 60.83
Closest atoms and distances in Å follow each position.
Fractional positions:
Ba: 0.0000 0.0000 0.0000  4 Se 3.29, 1 Al 3.44
Al: 0.3080 0.3080 0.0000  1 Se 2.44
Se: 0.5263 0.5263 0.0000  1 Al 2.44

Space group: I4mm
ΔE to the lowest computed polymorph in eV/atom: 0.078

---

Entry 3:
## BaAlSe2 (GGA-PBE)

Data for an optimized crystal structure of BaAlSe2.

abc: 5.8459 5.8459 5.8459
angles: 142.17 114.06 78.61
Closest atoms and distances in Å follow each position.
Fractional positions:
Ba: 0.0000 0.0000 0.0000  8 Se 3.43-3.59, 4 Al 3.70, 2 Ba 3.79
Al: 0.5000 0.5000 0.0000  4 Se 2.52
Se: 0.3167 0.8167 0.5000  2 Al 2.52
Se: 0.6833 0.1833 0.5000  2 Al 2.52

Space group: Immm
E_tot in eV/atom: -4.13

----------

The following is a PBE calculation of crystalline Sc4TlC2 at its relaxed geometry, from Alexandria.

## Properties
- DFT formation energy: 22 kJ per mole of atoms
- Theoretical density: 4.3 Mg/m³
- E_tot: -44.53 eV per formula unit
- E above lowest polymorph: 0.704 eV/atom
- SG: No. 139

Unit cell a=5.290 b=5.290 c=6.755 alpha=66.95 beta=66.95 gamma=90.00
Fractional positions:
Sc 0.744 0.744 0.513
Sc 0.256 0.256 0.487
Sc 0.000 0.500 0.000
Sc 0.500 0.000 0.000
Tl 0.000 0.000 0.000
C 0.559 0.559 0.882
C 0.441 0.441 0.118

----------

# 1
A plane-wave DFT calculation with PBE-GGA was carried out for crystalline KMg2BeV at its relaxed geometry.

Cell: 5.6839 5.6839 5.2836 Å, 90.00 90.00 90.00°
Closest atoms and distances in Å follow each position.
Atoms (fractional coordinates):
1 K 0.0000 0.0000 0.0000  2 V 2.64, 4 Mg 2.84
2 Mg 0.0000 0.5000 0.0000  2 K 2.84
3 Mg 0.5000 0.0000 0.0000  2 K 2.84
4 Be 0.5000 0.5000 0.5000  8 Mg 3.88, 4 V 4.02
5 V 0.0000 0.0000 0.5000  2 K 2.64

## Properties
symmetry = No. 123
DFT formation energy = 2.09 eV per atom
E = -1.3354 eV/atom

# 2
A plane-wave DFT calculation with PBE-GGA was carried out for crystalline HfGa2Pd at its relaxed geometry.

Cell: 5.0635 5.0635 5.0635 Å, 49.39 49.39 49.39°
Closest atoms and distances in Å follow each position.
Atoms (fractional coordinates):
1 Hf 0.0000 0.0000 0.0000  8 Ga 2.82-3.03
2 Ga 0.2279 0.2279 0.2279  3 Pd 2.58, 3 Hf 2.82
3 Ga 0.7721 0.7721 0.7721  3 Pd 2.58, 3 Hf 2.82
4 Pd 0.5000 0.5000 0.5000  6 Ga 2.58

## Properties
=====
End of the crystal structures:
Sensory realities of automated technologies
Data records that have nothing to do with the text
A plane-wave DFT calculation with PBE was carried out for an optimized crystal structure of V3GaPb.

* symmetry: Pm-3m
* excess energy over the best structure of this formula in the dataset: 0.0 kJ/mol of atoms

Cell: 4.6332 4.6332 4.6332 Å, 90.00 90.00 90.00°
With the nearest neighbours (Å) after each atom.
Fractional positions:
Pb1 0.5000 0.5000 0.5000  12 V 3.28
Ga1 0.0000 0.0000 0.0000  6 V 2.32
V1 0.0000 0.5000 0.0000  2 Ga 2.32
V2 0.0000 0.0000 0.5000  2 Ga 2.32
V3 0.5000 0.0000 0.0000  2 Ga 2.32



A plane-wave DFT calculation with PBE was carried out for an optimized crystal structure of V2GaPb.

* symmetry: I-42d

Cell: 3.9597 3.9597 9.9936 Å, 78.57 78.57 90.00°
With the nearest neighbours (Å) after each atom.
Fractional positions:
Pb1 0.0000 0.0000 0.0000  4 Ga 2.80, 4 V 2.85
Pb2 0.7500 0.2500 0.5000  4 Ga 2.80, 4 V 2.85
Ga1 0.5000 0.5000 0.0000  4 V 2.72, 4 Pb 2.80
Ga2 0.2500 0.7500 0.5000  4 V 2.72, 4 Pb 2.80
V1 0.5796 0.1250 0.2500  2 V 2.56, 2 Ga 2.72, 2 Pb 2.85
V2 0.1704 0.6250 0.2500  2 V 2.56, 2 Ga 2.72, 2 Pb 2.85
V3 0.3750 0.4204 0.7500  2 V 2.56, 2 Ga 2.72, 2 Pb 2.85
V4 0.8750 0.8296 0.7500  2 V 2.56, 2 Ga 2.72, 2 Pb 2.85



A plane-wave DFT calculation with PBE was carried out for an optimized crystal structure of V3GaPb.

* symmetry: Pm-3m
* excess energy over the best structure of this formula in the dataset: 76.7 kJ/mol of atoms

Cell: 5.1520 5.1520 5.1520 Å, 90.00 90.00 90.00°
With the nearest neighbours (Å) after each atom.
Fractional positions:
Pb1 0.0000 0.0000 0.0000  6 V 2.58
Ga1 0.5000 0.5000 0.5000  12 V 3.64
V1 0.0000 0.5000 0.0000  2 Pb 2.58
V2 0.0000 0.0000 0.5000  2 Pb 2.58
V3 0.5000 0.0000 0.0000  2 Pb 2.58



A plane-wave DFT calculation with PBE was carried out for an optimized crystal structure of Ga3PbW.

* symmetry: Pm-3m
* excess energy over the best structure of this formula in the dataset: 0.0 kJ/mol of atoms

Cell: 4.9644 4.9644 4.9644 Å, 90.00 90.00 90.00°
With the nearest neighbours (Å) after each atom.
Fractional positions:
Pb1 0.5000 0.5000 0.5000  12 Ga 3.51
Ga1 0.0000 0.5000 0.0000  2 W 2.48
Ga2 0.0000 0.0000 0.5000  2 W 2.48
Ga3 0.5000 0.0000 0.0000  2 W 2.48
W1 0.0000 0.0000 0.0000  6 Ga 2.48



A plane-wave DFT calculation with PBE was carried out for an optimized crystal structure of YGa3Pb.

* symmetry: Pm-3m
* excess energy over the best structure of this formula in the dataset: 0.0 kJ/mol of atoms

Cell: 5.4564 5.4564 5.4564 Å, 90.00 90.00 90.00°
With the nearest neighbours (Å) after each atom.
Fractional positions:
Pb1 0.5000 0.5000 0.5000  12 Ga 3.86
Y1 0.0000 0.0000 0.0000  6 Ga 2.73
Ga1 0.0000 0.5000 0.0000  2 Y 2.73
Ga2 0.0000 0.0000 0.5000  2 Y 2.73
Ga3 0.5000 0.0000 0.0000  2 Y 2.73



A plane-wave DFT calculation with PBE was carried out for an optimized crystal structure of YGa3Pb.

* symmetry: Pm-3m
* excess energy over the best structure of this formula in the dataset: 3.0 kJ/mol of atoms

Cell: 5.3477 5.3477 5.3477 Å, 90.00 90.00 90.00°
New technological possibilities associated with automated technologies such as self-tracking and self-driving cars are generating new questions and imaginaries about automated futures. Until recently, technological-driven research has dominated the field, but there is now a growing interest for hitherto neglected perspectives, for example the sensory realities of these emerging technologies. In this talk, I will discuss a theoretical-methodological approach towards researching this context based in pedagogical design anthropological theory and sensory ethnographic practice. We have developed this approach to specifically target sensory and often unspoken perspectives on self tracking technologies and self-driving cars. During this talk I will discuss empirical examples from our research to demonstrate the approach as well as lessons learned from developing this approach in an interdisciplinary and applied context.
Dr. Michael Guggenheim, Goldsmiths - Univ. of London, UK
Translating the world: Towards a sociology of research media.
Sociology does not imagine itself as a multi-media discipline. Indeed, sociology does not have a theory of research media. It largely operates on the assumption that its primary output medium is text, and it does not have an elaborate theory how the world is turned into texts. Because of this assumption, all other senses and media become othered, as in need of a special justification. To move away from such unequal treatment of media, I would like to propose a theory of how the world is turned into research based on the notion of translation, and I would like to move away from asking questions about advantages and disadvantages of specific media, to ask questions of what happens in different translation steps. This assumes that any sociological research project translates across media and that the relevant focus should be on what translation as a practice is doing to the world.